Posted in: Comics | Tagged: Jim Salicrup, Ninjago, Papercutz, smurfs
The Papercutz Manifesto – Jim Salicrup Discusses How His Company Is Succeeding With Demographics The Direct Market Often Ignores
Whenever one talks about the future of comics, part of the answer always includes talk of expanding the fan base and reaching demographics currently not being served. Despite all the talk though, there remain areas where comics could, and should, be reaching out to yet fail to do so.
One publisher, Papercutz, has built their business around reaching one of those, the tween market, including the oft-ignored tween girl market, which has tremendous spending power – ask any parent that has gone into an American Girl store or a Justin Bieber concert how much money they had walking in compared to when they walked out – but is criminally ignored by the comic industry. So we asked Jim Salicrup, editor-in-chief of Papercutz, about how they are reaching this demographic and whether the current comic marketplace is even the right place for doing so.
Here the text breaks off for records of crystals:
## CaTeAu3 (SCAN)

Data for a PBEsol-optimized structure of CaTeAu3.

a = 5.1975 Å, b = 5.1975 Å, c = 5.1975 Å
α = 90.00°, β = 90.00°, γ = 90.00°
Closest atoms and distances in Å follow each position.
Sites, in units of the cell vectors:
Ca (0.0000, 0.0000, 0.0000)  12 Au 3.68
Te (0.5000, 0.5000, 0.5000)  6 Au 2.60
Au (0.0000, 0.5000, 0.5000)  2 Te 2.60
Au (0.5000, 0.0000, 0.5000)  2 Te 2.60
Au (0.5000, 0.5000, 0.0000)  2 Te 2.60

ΔE_f (raw) in eV/atom: -0.0773

=====

## CaTiAu2 (SCAN)

Data for a PBEsol-optimized structure of CaTiAu2.

a = 4.7733 Å, b = 4.7733 Å, c = 4.7733 Å
α = 60.00°, β = 60.00°, γ = 60.00°
Closest atoms and distances in Å follow each position.
Sites, in units of the cell vectors:
Ca (0.0000, 0.0000, 0.0000)  8 Au 2.92
Ti (0.5000, 0.5000, 0.5000)  8 Au 2.92
Au (0.2500, 0.2500, 0.2500)  4 Ca 2.92, 4 Ti 2.92
Au (0.7500, 0.7500, 0.7500)  4 Ca 2.92, 4 Ti 2.92

Formation energy from the elements in meV per atom: -542

=====

## Ca2TlAu (SCAN)

Data for a PBEsol-optimized structure of Ca2TlAu.

a = 5.2103 Å, b = 5.2103 Å, c = 3.6741 Å
α = 90.00°, β = 90.00°, γ = 90.00°
Closest atoms and distances in Å follow each position.
Sites, in units of the cell vectors:
Ca (0.0000, 0.5000, 0.0000)  4 Tl 3.19, 4 Au 3.19
Ca (0.5000, 0.0000, 0.0000)  4 Tl 3.19, 4 Au 3.19
Tl (0.0000, 0.0000, 0.5000)  8 Ca 3.19
Au (0.5000, 0.5000, 0.5000)  8 Ca 3.19

Formation energy from the elements in meV per atom: -746

=====

These records have density of states at the Fermi level values of 3.55 3.03 2.13 states/eV per cell, in the order they appear.
Jim, one of the biggest complaints I have written about that I have for the "Big Two" is that between the two of them, they have maybe one comic (well, more a series of miniseries) between the two of them that is aimed at tween girls, and that's Oz. Both the dad in me and the former retailer in me see that this as a lost opportunity, both in terms of hooking a new audience and getting them into comic shops. Even with Oz, it seems like the main audience there is the one that will later pick it up as a hardcover at Barnes and Noble rather than as a monthly in a comic shop.
This is definitely an opportunity that your company is not passing on though with product like Dance Class and Disney Fairies, just to name a couple. What is it that you see in this audience that they don't? Similarly, are comic shops a venue that works for you, or is your business model more focused on more traditional booksellers?
Keeping in mind that the direct sales comic book market was essentially created to distribute comics from the "Big Two," it works very well at doing just that. Trying to sell other types of comics through this distribution system is a real challenge, even for the Marvel and DC. Marvel's Wizard of Oz adaptations are a great example of what we try to do at Papercutz – a comic series that truly is for all ages. I buy multiple copies of the Oz comics and the collections, for myself and for several friends. I believe its appeal to older comics fans is what makes it a success, that if it only appealed to children, it would be struggling.
Along similar lines, our Smurfs graphic novels also appeals to all ages — especially older fans who loved the 80s cartoon series, and, to a lesser extent, fans of European comics, and that's why The Smurfs is our strongest seller in the comic book shops. Sure, kids love Smurfs too, but I suspect that these books are being bought for them in comic book shops by parents or relatives who normally frequent comic book shops. I'm sure there are also kids who shop at comic book shops and buy The Smurfs too, but I bet they're in the minority.
Remember that we released The Smurfs graphic novels the year before the new movie was released, so comic book stores were very important to our initial success with The Smurfs. Even before the movie opened we were already going back to press on each volume of The Smurfs. Once the movie hit, we couldn't keep any volume in print for long.
We're very thankful for Diamond's help and support on The Smurfs. Working with Diamond we published a dollar preview comic and two Halloween Smurfs min-comics that helped greatly to allow fans to sample these comics either at a very low price or virtually for free. Our very first Free Comic Book Day comic was also The Smurfs and Geronimo Stilton, which also helped tremendously.
Reviews were also very helpful. We're publishing the original Smurfs comics created by Peyo, and critics were quick to point out how amazing these comics truly are. Not many fans in the US realized that The Smurfs originally started as comic characters back in 1958, as they're much more familiar with the 80s cartoon series. Many fans enjoyed the opportunity to finally read the original comics, some of which had never been available before in English. Critics also praised the excellent work by award-winning designer Adam Grano, and the artful lettering by award-winning letterer Janice Chiang, and were happy with how Papercutz has repackaged The Smurfs in highly affordable formats.
So, while we're very happy with the support we're getting on The Smurfs, and happy for the success of Marvel's Oz adaptations, we realize that comic book stores are still a challenging market for titles that may appeal more to younger audiences. While there are comic book stores that actively support comics and graphic novels for all ages — and we're very appreciative of their efforts– most comic book stores still understandably focus most of their efforts on retaining and attracting new customers for the many super-hero comics they sell.
Even when some comic book stores do carry comics that may appeal to children, especially girls, it's a tricky proposition. For example, if young girls haven't been shopping at comic book stores, why will they suddenly start now? How will they know that these stores now have material that may appeal to them? That is really a major challenge, and unless that's addressed, it's unlikely enough girls will ever make it into the stores to check out these new comics and graphic novels.
So, what this all means is that many of our titles find their audience at traditional bookstores, simply because children know there are children's sections at these stores with books created just for them. In these children's sections, characters such as Nancy Drew, The Hardy Boys, Geronimo Stilton, Disney Fairies, and many more are very well known. This audience instantly recognizes the parodies we feature in Papercutz Slices, such as Harry Potty, Percy Jerkson, and Hunger Pains. And at this point, titles such as Dance Class, Ernest & Rebecca, and Sybil the Backpack Fairy may have their best shot at building a following in traditional bookstores, but we're thankful for all the support we get from comic book stores. Our next Free Comic Book Day comic will feature The Smurfs and Disney Fairies, but will have a few pages of Dance Class and Ernest & Rebecca as well (single pages from both series are designed to work either separately or as part of a bigger story, so it'll work nicely).
If the Big Two say that the audience for all-ages comics isn't there in the comic book stores, they may be right, but that doesn't mean it can't be created. As I said, some stores are very interested in developing this market, and certainly there is more material (mostly graphic novels) now available than there has been in many years. Papercutz, which was started by publisher Terry Nantier and me, has now been around for seven years, and although it has been a major struggle at times, there seems to be more and more openness to comics for all ages. You may wonder why stores would be reluctant to attract new customers, but in these difficult times, trying to simply survive may distract many a store.
When we had success with The Smurfs we took that opportunity to let both comic bookstore customers and owners know about another one of our success stories– Geronimo Stilton. By including Geronimo Stilton in with The Smurfs in our first Free Comic Book Day comic, storeowners had little to lose — they already knew they had customers who liked The Smurfs. When some of their younger customers were exposed to the Geronimo Stilton content, they may have been surprised to discover that comics based on this super-successful children's series even existed! As a result, they asked the comic book storeowners about it, and we saw our orders on Geronimo Stilton increase dramatically in comic book stores.
Ultimately it may just come down to us figuring out as many ways as possible for us to get our comics in front of the people who will enjoy them. We're on comiXology, we're getting into more mass-market outlets such as Wal-Mart and Target, we're in school book clubs and book fairs, we're in schools and libraries. We love the comics we're publishing and we hope we can expose them to as many people as possible.
In your business model then, are comic shops even necessary? I don't mean that as a knock on the direct market, but at the same time, it's not a market that seems very welcoming to what you offer.
Any potential market is necessary for a small publisher like us! Ironic, isn't it, that comic shops would be considered not "very welcoming" to a publisher of comics? But as I said before, there are quite a few comic stores that are making a concerted effort to support comics for all ages. Just like in regular bookstores, we're seeing sections of stores being dedicated to comics for kids. Recently we hired Janna Morishima as our Director of Marketing, and getting those kids graphic novel sections into bookstores is something she helped make a reality.
But while that is certainly a very positive move, and we certainly welcome that, there's even an unintended side effect to that… some of our titles really are suitable for all ages, meaning adults as well as children. Unfortunately, sometimes when titles are shelved in sections explicitly labeled for children, some adults won't even consider that they could possibly enjoy that material. Titles such as Classics Illustrated, or even The Smurfs or Ernest & Rebecca, which can be enjoyed by adult audiences, suffer by being shelved in the children's section. There's good news, however, more and more adults are finding books in the "Young Adult" sections, such as Harry Potter and the Twilight saga that they can enjoy.
Way back when, all comics were considered, in a not very good way, suitable only for children. For decades folks such as Stan Lee and Will Eisner fought the battle to have comics accepted as a legitimate art form able to produce sophisticated material that even adults could enjoy. Papercutz publisher, Terry Nantier, was a real pioneer, along with a few others, publishing material that was worthy of an adult audience– everything from collections of classic comic strips such as Terry and the Pirates to English editions of great European graphic novels through his company NBM Publishing. It's safe to say that in many ways that battle has been won. Bookstores, libraries, and most importantly, audiences, have accepted comics and graphic novels for adults. But along the way, many of the traditional outlets for comics for younger audiences either vanished or no longer carry comics. And that is where a lot of our efforts are focused, to figure out ways to bring our titles to as large an audience as possible.
Our biggest hit so far, is a title based on the LEGO Ninjago toy line. Kids, especially ten-year-old boys, are crazy for Ninjago! We're able to sell these books at far more places than anything else we sell, and that's very exciting for us! Our Ninjago graphic novels are available at comic book stores, booksellers, and at as well as Toys 'R' Us and Wal-Mart and gazillion other outlets!
While we're super thankful to publish Ninjago, we're still working as hard as we can to help titles such as Ernest & Rebecca and Dance Class find their audiences.